Activity.
Next, set down all of the material further down word for word.

Material.
********
First-principles (PBE) data for a relaxed structure of Be15V2Co2, as listed in Alexandria via LeMat-Bulk.

a b c (Å): 5.517 5.517 5.517
angles (deg): 83.38 83.38 83.38
Sites, in units of the cell vectors:
Be: 0.000 0.000 0.500
Be: 0.000 0.293 0.707
Be: 0.000 0.500 0.000
Be: 0.000 0.707 0.293
Be: 0.161 0.650 0.650
Be: 0.293 0.000 0.707
Be: 0.293 0.707 0.000
Be: 0.350 0.350 0.839
Be: 0.350 0.839 0.350
Be: 0.500 0.000 0.000
Be: 0.650 0.161 0.650
Be: 0.650 0.650 0.161
Be: 0.707 0.000 0.293
Be: 0.707 0.293 0.000
Be: 0.839 0.350 0.350
V: 0.343 0.343 0.343
V: 0.657 0.657 0.657
Co: 0.108 0.108 0.108
Co: 0.892 0.892 0.892

Results
D(E_F)	6.87	states/eV/f.u.
crystal system	trigonal
total magnetization	0.8	μB/f.u.
space group	R-3m, No. 166
energy of formation	-0.168	eV per atom
density	3.576	g cm⁻³

=====

First-principles (PBE) data for a relaxed structure of Be2VCo2, as listed in Alexandria via LeMat-Bulk.

a b c (Å): 6.247 6.247 2.555
angles (deg): 90.00 90.00 90.00
Sites, in units of the cell vectors:
Be: 0.148 0.352 0.000
Be: 0.352 0.852 0.000
Be: 0.648 0.148 0.000
Be: 0.852 0.648 0.000
V: 0.000 0.000 0.500
V: 0.500 0.500 0.500
Co: 0.147 0.647 0.500
Co: 0.353 0.147 0.500
Co: 0.647 0.853 0.500
Co: 0.853 0.353 0.500

Results
D(E_F)	3.71	states/eV/f.u.
crystal system	tetragonal
total magnetization	0.4	μB/f.u.
space group	P4/mbm, No. 127
energy of formation	-0.123	eV per atom
density	6.223	g cm⁻³

=====

First-principles (PBE) data for a relaxed structure of Be2VCo2, as listed in Alexandria via LeMat-Bulk.

a b c (Å): 3.617 3.617 8.199
angles (deg): 90.00 90.00 90.00
Sites, in units of the cell vectors:
Be: 0.000 0.500 0.250
Be: 0.000 0.500 0.750
Be: 0.500 0.000 0.250
Be: 0.500 0.000 0.750
V: 0.000 0.000 0.000
V: 0.500 0.500 0.500
Co: 0.000 0.000 0.371
Co: 0.000 0.000 0.629
Co: 0.500 0.500 0.129
Co: 0.500 0.500 0.871

Results
D(E_F)	5.06	states/eV/f.u.
crystal system	tetragonal
total magnetization	2.4	μB/f.u.
space group	I4/mmm, No. 139
energy of formation	0.210	eV per atom
density	5.785	g cm⁻³

=====

First-principles (PBE) data for a relaxed structure of Be2VCo, as listed in Alexandria via LeMat-Bulk.

a b c (Å): 3.360 3.360 3.577
angles (deg): 90.00 90.00 90.00
Sites, in units of the cell vectors:
Be: 0.000 0.500 0.000
Be: 0.500 0.000 0.000
V: 0.000 0.000 0.500
Co: 0.500 0.500 0.500

Results
D(E_F)	3.63	states/eV/f.u.
crystal system	tetragonal
total magnetization	0.0	μB/f.u.
space group	P4/mmm, No. 123
energy of formation	-0.074	eV per atom
density	5.260	g cm⁻³

=====

First-principles (PBE) data for a relaxed structure of BeV2CoW, as listed in Alexandria via LeMat-Bulk.

a b c (Å): 4.302 4.302 3.758
angles (deg): 90.00 90.00 90.00
Sites, in units of the cell vectors:
Be: 0.000 0.000 0.000
V: 0.000 0.500 0.500
V: 0.500 0.000 0.500
Co: 0.000 0.000 0.500
W: 0.500 0.500 0.000

Results
D(E_F)	5.55	states/eV/f.u.
crystal system	tetragonal
total magnetization	0.0	μB/f.u.
space group	P4/mmm, No. 123
energy of formation	0.791	eV per atom
density	8.445	g cm⁻³

=====

First-principles (PBE) data for a relaxed structure of Be2V2ZnCo5, as listed in Alexandria via LeMat-Bulk.

a b c (Å): 8.354 8.354 3.057
angles (deg): 90.00 90.00 90.00
Sites, in units of the cell vectors:
Be: 0.120 0.380 0.000
Be: 0.380 0.880 0.000
Be: 0.620 0.120 0.000
Be: 0.880 0.620 0.000
V: 0.177 0.677 0.000
V: 0.323 0.177 0.000
V: 0.677 0.823 0.000
V: 0.823 0.323 0.000
Zn: 0.000 0.000 0.000
Zn: 0.500 0.500 0.000
Co: 0.000 0.500 0.500
Co: 0.076 0.211 0.500
Co: 0.211 0.924 0.500
Co: 0.289 0.424 0.500
Co: 0.424 0.711 0.500
Co: 0.500 0.000 0.500
Co: 0.576 0.289 0.500
Co: 0.711 0.576 0.500
Co: 0.789 0.076 0.500
Co: 0.924 0.789 0.500

Results
D(E_F)	6.01	states/eV/f.u.
crystal system	tetragonal
total magnetization	0.0	μB/f.u.
space group	P4/mbm, No. 127
energy of formation	-0.115	eV per atom
density	7.471	g cm⁻³

=====

First-principles (PBE) data for a relaxed structure of Zr2Be2VCo5, as listed in Alexandria via LeMat-Bulk.

a b c (Å): 8.752 8.752 3.177
********

Written answer.
First-principles (PBE) data for a relaxed structure of Be15V2Co2, as listed in Alexandria via LeMat-Bulk.

a b c (Å): 5.517 5.517 5.517
angles (deg): 83.38 83.38 83.38
Sites, in units of the cell vectors:
Be: 0.000 0.000 0.500
Be: 0.000 0.293 0.707
Be: 0.000 0.500 0.000
Be: 0.000 0.707 0.293
Be: 0.161 0.650 0.650
Be: 0.293 0.000 0.707
Be: 0.293 0.707 0.000
Be: 0.350 0.350 0.839
Be: 0.350 0.839 0.350
Be: 0.500 0.000 0.000
Be: 0.650 0.161 0.650
Be: 0.650 0.650 0.161
Be: 0.707 0.000 0.293
Be: 0.707 0.293 0.000
Be: 0.839 0.350 0.350
V: 0.343 0.343 0.343
V: 0.657 0.657 0.657
Co: 0.108 0.108 0.108
Co: 0.892 0.892 0.892

Results
D(E_F)	6.87	states/eV/f.u.
crystal system	trigonal
total magnetization	0.8	μB/f.u.
space group	R-3m, No. 166
energy of formation	-0.168	eV per atom
density	3.576	g cm⁻³

=====

First-principles (PBE) data for a relaxed structure of Be2VCo2, as listed in Alexandria via LeMat-Bulk.

a b c (Å): 6.247 6.247 2.555
angles (deg): 90.00 90.00 90.00
Sites, in units of the cell vectors:
Be: 0.148 0.352 0.000
Be: 0.352 0.852 0.000
Be: 0.648 0.148 0.000
Be: 0.852 0.648 0.000
V: 0.000 0.000 0.500
V: 0.500 0.500 0.500
Co: 0.147 0.647 0.500
Co: 0.353 0.147 0.500
Co: 0.647 0.853 0.500
Co: 0.853 0.353 0.500

Results
D(E_F)	3.71	states/eV/f.u.
crystal system	tetragonal
total magnetization	0.4	μB/f.u.
space group	P4/mbm, No. 127
energy of formation	-0.123	eV per atom
density	6.223	g cm⁻³

=====

First-principles (PBE) data for a relaxed structure of Be2VCo2, as listed in Alexandria via LeMat-Bulk.

a b c (Å): 3.617 3.617 8.199
angles (deg): 90.00 90.00 90.00
Sites, in units of the cell vectors:
Be: 0.000 0.500 0.250
Be: 0.000 0.500 0.750
Be: 0.500 0.000 0.250
Be: 0.500 0.000 0.750
V: 0.000 0.000 0.000
V: 0.500 0.500 0.500
Co: 0.000 0.000 0.371
Co: 0.000 0.000 0.629
Co: 0.500 0.500 0.129
Co: 0.500 0.500 0.871

Results
D(E_F)	5.06	states/eV/f.u.
crystal system	tetragonal
total magnetization	2.4	μB/f.u.
space group	I4/mmm, No. 139
energy of formation	0.210	eV per atom
density	5.785	g cm⁻³

=====

First-principles (PBE) data for a relaxed structure of Be2VCo, as listed in Alexandria via LeMat-Bulk.

a b c (Å): 3.360 3.360 3.577
angles (deg): 90.00 90.00 90.00
Sites, in units of the cell vectors:
Be: 0.000 0.500 0.000
Be: 0.500 0.000 0.000
V: 0.000 0.000 0.500
Co: 0.500 0.500 0.500

Results
D(E_F)	3.63	states/eV/f.u.
crystal system	tetragonal
total magnetization	0.0	μB/f.u.
space group	P4/mmm, No. 123
energy of formation	-0.074	eV per atom
density	5.260	g cm⁻³

=====

First-principles (PBE) data for a relaxed structure of BeV2CoW, as listed in Alexandria via LeMat-Bulk.

a b c (Å): 4.302 4.302 3.758
angles (deg): 90.00 90.00 90.00
Sites, in units of the cell vectors:
Be: 0.000 0.000 0.000
V: 0.000 0.500 0.500
V: 0.500 0.000 0.500
Co: 0.000 0.000 0.500
W: 0.500 0.500 0.000

Results
D(E_F)	5.55	states/eV/f.u.
crystal system	tetragonal
total magnetization	0.0	μB/f.u.
space group	P4/mmm, No. 123
energy of formation	0.791	eV per atom
density	8.445	g cm⁻³

=====

First-principles (PBE) data for a relaxed structure of Be2V2ZnCo5, as listed in Alexandria via LeMat-Bulk.

a b c (Å): 8.354 8.354 3.057
angles (deg): 90.00 90.00 90.00
Sites, in units of the cell vectors:
Be: 0.120 0.380 0.000
Be: 0.380 0.880 0.000
Be: 0.620 0.120 0.000
Be: 0.880 0.620 0.000
V: 0.177 0.677 0.000
V: 0.323 0.177 0.000
V: 0.677 0.823 0.000
V: 0.823 0.323 0.000
Zn: 0.000 0.000 0.000
Zn: 0.500 0.500 0.000
Co: 0.000 0.500 0.500
Co: 0.076 0.211 0.500
Co: 0.211 0.924 0.500
Co: 0.289 0.424 0.500
Co: 0.424 0.711 0.500
Co: 0.500 0.000 0.500
Co: 0.576 0.289 0.500
Co: 0.711 0.576 0.500
Co: 0.789 0.076 0.500
Co: 0.924 0.789 0.500

Results
D(E_F)	6.01	states/eV/f.u.
crystal system	tetragonal
total magnetization	0.0	μB/f.u.
space group	P4/mbm, No. 127
energy of formation	-0.115	eV per atom
density	7.471	g cm⁻³

=====

First-principles (PBE) data for a relaxed structure of Zr2Be2VCo5, as listed in Alexandria via LeMat-Bulk.

a b c (Å): 8.752 8.752 3.177